Wanted:
Start at the top of the block further below and transcribe each line, ending with the one that has "-1.011 -1.311".

Material:
'''
No. 1
48
Properties=species:S:1:pos:R:3 method="wB97M-V/def2-TZVPD" total_energy_ev=-56740.40646 gap_ev=8.86 smiles="N#C[C@H](I)[C@](C#N)(CCC(=O)O)P(=O)(O)O.O=C1c2ccccc2C(=O)c2ccccc21" homo_ev=-9.9 charge=0 largest_force_ha_per_bohr=0.1047
N -1.361 -0.008 -4.646
C -1.557 -0.064 -3.538
C -1.966 -0.160 -2.096
I -2.790 -2.164 -1.796
C -3.019 0.970 -1.714
C -3.407 0.661 -0.273
N -3.717 0.787 0.797
C -4.236 0.937 -2.697
C -5.618 0.968 -1.994
C -5.892 2.322 -1.287
O -5.612 3.368 -1.745
O -6.468 2.236 -0.032
P -2.051 2.588 -1.815
O -2.264 3.421 -0.617
O -2.377 3.388 -3.185
O -0.452 2.239 -1.869
H -1.110 -0.112 -1.397
H -4.229 1.746 -3.451
H -4.192 -0.013 -3.276
H -6.390 0.889 -2.796
H -5.797 0.099 -1.326
H -5.788 2.068 0.644
H -3.118 4.008 -3.063
H 0.033 2.946 -1.413
O 1.724 -2.933 0.569
C 2.522 -2.222 1.149
C 2.065 -1.013 1.881
C 0.709 -0.707 1.917
C 0.265 0.398 2.628
C 1.176 1.201 3.309
C 2.531 0.910 3.262
C 2.981 -0.194 2.543
C 4.436 -0.486 2.485
O 5.238 0.257 3.016
C 4.892 -1.707 1.771
C 6.248 -2.014 1.737
C 6.681 -3.167 1.102
C 5.761 -4.019 0.497
C 4.410 -3.709 0.516
C 3.970 -2.551 1.148
H -0.004 -1.332 1.394
H -0.792 0.632 2.658
H 0.828 2.056 3.874
H 3.238 1.539 3.788
H 6.965 -1.356 2.210
H 7.737 -3.407 1.080
H 6.100 -4.924 0.009
H 3.698 -4.373 0.042

=====

No. 2
18
Properties=species:S:1:pos:R:3 method="wB97M-V/def2-TZVPD" total_energy_ev=-8897.59660 gap_ev="7.24 / 7.24" homo_ev="-6.6 / -6.6" charge=0 largest_force_ha_per_bohr=0.0094 e_above_lowest_kcal_mol=94.6
C -2.469 0.129 -0.632
C -1.016 -0.242 -0.357
C -0.665 -0.404 1.127
N 0.796 -0.424 1.076
C 1.252 0.365 0.080
O 0.931 1.665 -0.032
C 2.591 0.047 -0.516
H -2.643 0.283 -1.704
H -3.198 -0.639 -0.309
H -2.767 1.059 -0.124
H -0.779 -1.187 -0.871
H -0.041 1.579 -0.202
H -1.004 0.453 1.726
H -1.011 -1.311 1.656
H 1.238 -1.331 1.138
H 2.483 -0.030 -1.603
H 3.019 -0.886 -0.136
H 3.283 0.873 -0.315

=====

No. 3
12
Properties=species:S:1:pos:R:3 method="wB97M-V/def2-TZVPD" total_energy_ev=-11071.53932 gap_ev=9.13 homo_ev=-9.2 charge=0 largest_force_ha_per_bohr=0.3045 e_above_lowest_kcal_mol=154.0
C -0.091 1.118 -0.378
C 1.707 -0.026 -0.209
H -2.228 0.195 1.342
H -2.744 -0.954 -0.328
H -0.993 1.950 0.175
H 3.121 -0.952 0.720
N -2.242 0.098 0.115
N -0.806 -0.086 -0.262
N 1.077 1.146 -0.568
N 2.841 -0.055 0.233
N 0.809 -1.274 -0.410
N -0.451 -1.159 -0.430

=====

No. 4
25
Properties=species:S:1:pos:R:3 method="wB97M-V/def2-TZVPD" total_energy_ev=-15128.53137 gap_ev=8.82 smiles="Cc1ccc(O)cc1.CC(N)=O" homo_ev=-8.4 charge=0 largest_force_ha_per_bohr=0.0549 e_above_lowest_kcal_mol=25.4
C 0.173 -3.116 2.735
C 0.347 -1.766 2.086
C 0.469 -1.614 0.683
C 0.900 -0.475 0.037
C 1.320 0.595 0.904
O 1.954 1.718 0.469
C 0.927 0.575 2.223
C 0.511 -0.610 2.821
H -0.819 -3.253 3.108
H 0.928 -3.234 3.560
H 0.085 -3.957 2.119
H 0.234 -2.503 0.089
H 1.043 -0.354 -1.028
H 2.132 1.725 -0.477
H 0.801 1.433 2.864
H 0.217 -0.554 3.874
C -0.410 1.218 -3.511
C -1.815 1.546 -2.959
N -1.933 2.361 -1.898
O -2.764 1.084 -3.576
H 0.077 0.504 -2.853
H 0.129 2.149 -3.467
H -0.576 0.978 -4.551
H -2.831 2.708 -1.608
H -1.097 2.843 -1.643

=====

No. 5
17
Properties=species:S:1:pos:R:3 method="wB97M-V/def2-TZVPD" total_energy_ev=-8307.99790 gap_ev=10.65 homo_ev=-14.1 charge=+1 largest_force_ha_per_bohr=0.0693 e_above_lowest_kcal_mol=87.5
C 0.228 -1.924 1.788
C -0.970 -1.398 -0.325
C -0.102 -0.849 0.802
N 0.403 2.578 -2.273
N 0.330 0.388 0.827
O -0.012 2.238 -0.994
H -0.579 -2.553 2.201
H 0.742 -2.789 1.274
H 0.772 -1.677 2.732
H -0.821 -0.684 -1.210
H -1.033 -2.428 -0.757
H -1.930 -1.213 0.046
H 0.168 1.861 -2.943
H 0.066 3.458 -2.659
H 0.810 0.801 1.597
H 1.367 2.607 -2.227
H 0.246 1.156 -0.052

=====

No. 6
8
Properties=species:S:1:pos:R:3 method="wB97M-V/def2-TZVPD" total_energy_ev=-8877.26896 gap_ev=6.32 homo_ev=-2.6 charge=-1 largest_force_ha_per_bohr=0.0534 e_above_lowest_kcal_mol=0.6
C -0.608 1.574 1.054
C 0.197 1.202 0.036
O 1.231 -1.399 -0.674
H -0.319 2.356 1.781
H 0.975 1.962 -0.188
H 1.888 -1.212 -1.358
'''

Reply:
No. 1
48
Properties=species:S:1:pos:R:3 method="wB97M-V/def2-TZVPD" total_energy_ev=-56740.40646 gap_ev=8.86 smiles="N#C[C@H](I)[C@](C#N)(CCC(=O)O)P(=O)(O)O.O=C1c2ccccc2C(=O)c2ccccc21" homo_ev=-9.9 charge=0 largest_force_ha_per_bohr=0.1047
N -1.361 -0.008 -4.646
C -1.557 -0.064 -3.538
C -1.966 -0.160 -2.096
I -2.790 -2.164 -1.796
C -3.019 0.970 -1.714
C -3.407 0.661 -0.273
N -3.717 0.787 0.797
C -4.236 0.937 -2.697
C -5.618 0.968 -1.994
C -5.892 2.322 -1.287
O -5.612 3.368 -1.745
O -6.468 2.236 -0.032
P -2.051 2.588 -1.815
O -2.264 3.421 -0.617
O -2.377 3.388 -3.185
O -0.452 2.239 -1.869
H -1.110 -0.112 -1.397
H -4.229 1.746 -3.451
H -4.192 -0.013 -3.276
H -6.390 0.889 -2.796
H -5.797 0.099 -1.326
H -5.788 2.068 0.644
H -3.118 4.008 -3.063
H 0.033 2.946 -1.413
O 1.724 -2.933 0.569
C 2.522 -2.222 1.149
C 2.065 -1.013 1.881
C 0.709 -0.707 1.917
C 0.265 0.398 2.628
C 1.176 1.201 3.309
C 2.531 0.910 3.262
C 2.981 -0.194 2.543
C 4.436 -0.486 2.485
O 5.238 0.257 3.016
C 4.892 -1.707 1.771
C 6.248 -2.014 1.737
C 6.681 -3.167 1.102
C 5.761 -4.019 0.497
C 4.410 -3.709 0.516
C 3.970 -2.551 1.148
H -0.004 -1.332 1.394
H -0.792 0.632 2.658
H 0.828 2.056 3.874
H 3.238 1.539 3.788
H 6.965 -1.356 2.210
H 7.737 -3.407 1.080
H 6.100 -4.924 0.009
H 3.698 -4.373 0.042

=====

No. 2
18
Properties=species:S:1:pos:R:3 method="wB97M-V/def2-TZVPD" total_energy_ev=-8897.59660 gap_ev="7.24 / 7.24" homo_ev="-6.6 / -6.6" charge=0 largest_force_ha_per_bohr=0.0094 e_above_lowest_kcal_mol=94.6
C -2.469 0.129 -0.632
C -1.016 -0.242 -0.357
C -0.665 -0.404 1.127
N 0.796 -0.424 1.076
C 1.252 0.365 0.080
O 0.931 1.665 -0.032
C 2.591 0.047 -0.516
H -2.643 0.283 -1.704
H -3.198 -0.639 -0.309
H -2.767 1.059 -0.124
H -0.779 -1.187 -0.871
H -0.041 1.579 -0.202
H -1.004 0.453 1.726
H -1.011 -1.311 1.656